What is needed: say how many lines of the calculation results underneath hold the word "LUMO", as a bare number.

~~~
No. 1
This record from the Open Molecules 2025 dataset describes a 2-piece molecular cluster, C4H8N2O overall. The level of theory is ωB97M-V/def2-TZVPD.

Values from the calculation:
LUMO level	0.493	eV
frontier orbital gap	0.332	hartree
energy above the lowest of the compared OMol25 structures with the same formula, charge and spin	95.7	kcal per mole
total energy	-9302.2432	eV

Atoms and positions in Å:
1 O 0.092 0.103 1.506
2 N 1.675 1.687 1.225
3 N 1.684 -0.126 -0.178
4 C 0.937 -0.871 -0.895
5 C 1.129 0.483 0.945
6 C -1.757 -0.067 -0.885
7 C -0.980 -1.071 -0.086
8 H -1.513 -0.146 -1.943
9 H 1.498 -1.547 -1.557
10 H 1.395 2.174 2.058
11 H -0.921 -2.063 -0.515
12 H 2.501 1.969 0.724
13 H -2.831 -0.217 -0.723
14 H -1.400 -1.258 0.896
15 H -1.507 0.951 -0.573



No. 2
This record from the Open Molecules 2025 dataset describes a 2-piece molecular cluster, C4H8N2O overall. The level of theory is ωB97M-V/def2-TZVPD.

Values from the calculation:
LUMO level	0.802	eV
frontier orbital gap	0.347	hartree
energy above the lowest of the compared OMol25 structures with the same formula, charge and spin	48.8	kcal per mole
total energy	-9304.2781	eV
SMILES	Cc1c[nH]cn1.O

Atoms and positions in Å:
1 O 1.879 4.316 -0.441
2 N -0.368 -0.759 -1.032
3 N -1.968 0.102 0.299
4 C 0.728 -2.456 0.154
5 C -1.289 -1.001 1.017
6 C -1.289 0.157 -0.939
7 C -0.293 -1.385 0.153
8 H -2.515 0.800 0.689
9 H 0.820 -2.939 1.040
10 H -1.288 0.982 -1.645
11 H 2.233 3.426 -0.632
12 H -1.554 -1.208 2.108
13 H 1.777 -1.963 0.016
14 H 0.515 -3.071 -0.675
15 H 2.612 4.998 -0.111



No. 3
This record from the Open Molecules 2025 dataset describes a 2-piece molecular cluster, C4H8N2O overall. The level of theory is ωB97M-V/def2-TZVPD.

Values from the calculation:
LUMO level	0.753	eV
frontier orbital gap	0.356	hartree
energy above the lowest of the compared OMol25 structures with the same formula, charge and spin	22.7	kcal per mole
total energy	-9305.4076	eV
SMILES	Cc1c[nH]cn1.O

Atoms and positions in Å:
1 O 0.807 -2.549 1.214
2 N 0.500 -0.241 -1.608
3 N 0.902 0.703 0.339
4 C -0.711 0.221 -1.140
5 C 1.429 0.054 -0.664
6 C -1.383 1.487 0.989
7 C -0.426 0.866 0.029
8 H 0.721 -0.860 -2.369
9 H 2.418 -0.367 -0.659
10 H 0.416 -1.973 0.555
11 H -1.597 0.020 -1.719
12 H -2.406 1.198 0.763
13 H -1.280 2.574 0.951
14 H 1.731 -2.320 1.319
15 H -1.122 1.189 2.000



No. 4
This record from the Open Molecules 2025 dataset describes C4H8N2O in the gas phase. The level of theory is ωB97M-V/def2-TZVPD.

Values from the calculation:
LUMO level	0.819	eV
frontier orbital gap	0.347	hartree
energy above the lowest of the compared OMol25 structures with the same formula, charge and spin	85.9	kcal per mole
total energy	-9302.6696	eV

Atoms and positions in Å:
1 O -2.563 -0.545 0.654
2 N 1.699 0.976 -0.384
3 N 0.249 -0.854 -0.219
4 C 0.669 1.539 0.179
5 C 1.392 -0.586 -0.994
6 C -1.498 0.300 1.036
7 C -0.424 0.430 -0.031
8 H 1.157 -0.444 -2.060
9 H 0.554 -1.198 0.691
10 H 2.670 1.218 -0.492
11 H 2.140 -1.405 -0.901
12 H -1.926 1.283 1.228
13 H -0.904 0.696 -0.987
14 H -2.184 -1.363 0.306
15 H -1.030 -0.049 1.974



No. 5
This record from the Open Molecules 2025 dataset describes a 2-piece molecular cluster, C4H8N2O overall. The level of theory is ωB97M-V/def2-TZVPD.

Values from the calculation:
LUMO level	0.425	eV
frontier orbital gap	0.339	hartree
energy above the lowest of the compared OMol25 structures with the same formula, charge and spin	111.5	kcal per mole
total energy	-9301.5582	eV

Atoms and positions in Å:
1 O 2.322 1.082 1.351
2 N -0.937 2.343 -0.005
3 N -2.149 -0.780 0.099
4 C 0.042 -0.783 -1.089
5 C 2.147 0.769 0.099
6 C -0.865 1.191 0.030
7 C -0.783 -0.264 0.097
8 H 2.594 0.288 1.842
9 H -2.114 -1.790 0.161
10 H 1.872 1.719 -0.406
11 H 1.164 -0.531 -1.054
12 H -0.239 -0.493 1.020
13 H -0.017 -1.875 -1.062
14 H -0.400 -0.407 -2.019
15 H -2.638 -0.471 0.935



No. 6
~~~

5